........
Computed powder diffractogram of KYTa2O7 for λ = 1.5418 Å (Cu Kα), from a structure optimized by DFT (PBE).
No peak broadening, texture or thermal motion is included.

Cell and atoms:
Cell: 7.4308 7.5482 10.7569 Å, 90.00 90.00 90.00°
Space group Imma (No. 74)
Asymmetric unit:
K: 0.2500 0.2500 0.2500 (multiplicity 4)
Y: 0.0000 0.0000 0.0000 (multiplicity 4)
Ta: 0.0000 0.0000 0.5000 (multiplicity 4)
Ta: 0.2500 0.2500 0.7500 (multiplicity 4)
O: 0.0000 0.2500 0.0903 (multiplicity 4)
O: 0.0000 0.2500 0.4425 (multiplicity 4)
O: 0.0000 0.2500 0.8160 (multiplicity 4)
O: 0.1959 0.0647 0.6216 (multiplicity 16)

Main lines, low angle first (15 to 90 degrees two-theta):
| 2θ (°) | intensity | (hkl) |
| --- | --- | --- |
| 28.02 | 206 | 2 1 1 |
| 28.90 | 975 | 0 2 2 |
| 29.21 | 1000 | 2 0 2 |
| 33.32 | 243 | 0 0 4 |
| 33.86 | 446 | 2 2 0 |
| 48.23 | 711 | 0 4 0 |
| 57.38 | 296 | 2 4 2 |
| 57.92 | 272 | 4 2 2 |

~~~~~

# Co7Ge4
Calculated powder diffraction line list, Cu Kα. Input: DFT lattice parameters and positions (PBE).
No peak broadening, texture or thermal motion is included.

Crystal structure
Cell lengths 3.990, 3.990, 9.915 Å; angles 90.00, 90.00, 120.00 degrees
Sites, in units of the cell vectors:
Co 0.000 0.000 0.000
Co 0.333 0.667 0.126
Co 0.333 0.667 0.380
Co 0.333 0.667 0.620
Co 0.333 0.667 0.874
Co 0.667 0.333 0.256
Co 0.667 0.333 0.744
Ge 0.000 0.000 0.251
Ge 0.000 0.000 0.749
Ge 0.667 0.333 0.000
Ge 0.667 0.333 0.500

Main lines, in order of rising 2θ (15° ≤ 2θ ≤ 90°):
d (Å), I/Imax
2.835, 11.7
2.479, 6.8
2.014, 92.4
1.995, 100.0
1.554, 9.6
1.417, 27.7
1.155, 27.9
1.152, 15.2

# Co3Ge2
Calculated powder diffraction line list, Cu Kα. Input: DFT lattice parameters and positions (PBE).
No peak broadening, texture or thermal motion is included.

Crystal structure
Cell lengths 3.930, 3.930, 4.872 Å; angles 90.00, 90.00, 120.00 degrees
Sites, in units of the cell vectors:
Co 0.000 0.000 0.000
Co 0.667 0.333 0.258
Co 0.667 0.333 0.742
Ge 0.000 0.000 0.500
Ge 0.333 0.667 0.000

Main lines, in order of rising 2θ (15° ≤ 2θ ≤ 90°):
d (Å), I/Imax
4.872, 10.9
3.404, 14.0
2.790, 36.1
1.981, 100.0
1.965, 99.6
1.395, 29.6
1.138, 29.6
1.135, 15.3

# Co5Ge7
Calculated powder diffraction line list, Cu Kα. Input: DFT lattice parameters and positions (PBE).
No peak broadening, texture or thermal motion is included.

Crystal structure
Cell lengths 6.364, 6.364, 6.364 Å; angles 102.21, 102.21, 125.23 degrees
Sites, in units of the cell vectors:
Co 0.000 0.000 0.000
Co 0.287 0.287 0.469
Co 0.287 0.819 0.000
Co 0.819 0.287 0.000
Co 0.819 0.819 0.531
Ge 0.003 0.762 0.241
Ge 0.020 0.520 0.500
Ge 0.380 0.380 0.000
Ge 0.520 0.020 0.500
Ge 0.522 0.762 0.759
Ge 0.762 0.003 0.241
Ge 0.762 0.522 0.759

Main lines, in order of rising 2θ (15° ≤ 2θ ≤ 90°):
d (Å), I/Imax
4.722, 22.4
3.050, 43.6
2.825, 13.6
2.073, 27.7
2.033, 100.0
1.998, 61.6
1.413, 18.0
1.160, 26.7

# Co4Ge
Calculated powder diffraction line list, Cu Kα. Input: DFT lattice parameters and positions (PBE).
No peak broadening, texture or thermal motion is included.

Crystal structure
Cell lengths 9.978, 9.978, 9.978 Å; angles 15.12, 15.12, 15.12 degrees
Sites, in units of the cell vectors:
Co 0.099 0.099 0.099
Co 0.300 0.300 0.300
Co 0.700 0.700 0.700
Co 0.901 0.901 0.901
Ge 0.500 0.500 0.500

Main lines, in order of rising 2θ (15° ≤ 2θ ≤ 90°):
d (Å), I/Imax
2.122, 100.0
1.973, 26.3
1.803, 58.5
1.312, 19.0
1.240, 15.4
1.116, 11.1
1.093, 20.9

# Hf6Co16Ge7
Calculated powder diffraction line list, Cu Kα. Input: DFT lattice parameters and positions (PBE).
No peak broadening, texture or thermal motion is included.

Crystal structure
Cell lengths 8.141, 8.141, 8.141 Å; angles 60.00, 60.00, 60.00 degrees
Sites, in units of the cell vectors:
Hf 0.203 0.203 0.797
Hf 0.203 0.797 0.203
Hf 0.203 0.797 0.797
Hf 0.797 0.203 0.203
Hf 0.797 0.203 0.797
Hf 0.797 0.797 0.203
Co 0.138 0.621 0.621
Co 0.169 0.169 0.169
Co 0.169 0.169 0.493
Co 0.169 0.493 0.169
Co 0.379 0.379 0.379
Co 0.379 0.379 0.862
........

Give back the whole of the material further above word for word.

Computed powder diffractogram of KYTa2O7 for λ = 1.5418 Å (Cu Kα), from a structure optimized by DFT (PBE).
No peak broadening, texture or thermal motion is included.

Cell and atoms:
Cell: 7.4308 7.5482 10.7569 Å, 90.00 90.00 90.00°
Space group Imma (No. 74)
Asymmetric unit:
K: 0.2500 0.2500 0.2500 (multiplicity 4)
Y: 0.0000 0.0000 0.0000 (multiplicity 4)
Ta: 0.0000 0.0000 0.5000 (multiplicity 4)
Ta: 0.2500 0.2500 0.7500 (multiplicity 4)
O: 0.0000 0.2500 0.0903 (multiplicity 4)
O: 0.0000 0.2500 0.4425 (multiplicity 4)
O: 0.0000 0.2500 0.8160 (multiplicity 4)
O: 0.1959 0.0647 0.6216 (multiplicity 16)

Main lines, low angle first (15 to 90 degrees two-theta):
| 2θ (°) | intensity | (hkl) |
| --- | --- | --- |
| 28.02 | 206 | 2 1 1 |
| 28.90 | 975 | 0 2 2 |
| 29.21 | 1000 | 2 0 2 |
| 33.32 | 243 | 0 0 4 |
| 33.86 | 446 | 2 2 0 |
| 48.23 | 711 | 0 4 0 |
| 57.38 | 296 | 2 4 2 |
| 57.92 | 272 | 4 2 2 |

~~~~~

# Co7Ge4
Calculated powder diffraction line list, Cu Kα. Input: DFT lattice parameters and positions (PBE).
No peak broadening, texture or thermal motion is included.

Crystal structure
Cell lengths 3.990, 3.990, 9.915 Å; angles 90.00, 90.00, 120.00 degrees
Sites, in units of the cell vectors:
Co 0.000 0.000 0.000
Co 0.333 0.667 0.126
Co 0.333 0.667 0.380
Co 0.333 0.667 0.620
Co 0.333 0.667 0.874
Co 0.667 0.333 0.256
Co 0.667 0.333 0.744
Ge 0.000 0.000 0.251
Ge 0.000 0.000 0.749
Ge 0.667 0.333 0.000
Ge 0.667 0.333 0.500

Main lines, in order of rising 2θ (15° ≤ 2θ ≤ 90°):
d (Å), I/Imax
2.835, 11.7
2.479, 6.8
2.014, 92.4
1.995, 100.0
1.554, 9.6
1.417, 27.7
1.155, 27.9
1.152, 15.2

# Co3Ge2
Calculated powder diffraction line list, Cu Kα. Input: DFT lattice parameters and positions (PBE).
No peak broadening, texture or thermal motion is included.

Crystal structure
Cell lengths 3.930, 3.930, 4.872 Å; angles 90.00, 90.00, 120.00 degrees
Sites, in units of the cell vectors:
Co 0.000 0.000 0.000
Co 0.667 0.333 0.258
Co 0.667 0.333 0.742
Ge 0.000 0.000 0.500
Ge 0.333 0.667 0.000

Main lines, in order of rising 2θ (15° ≤ 2θ ≤ 90°):
d (Å), I/Imax
4.872, 10.9
3.404, 14.0
2.790, 36.1
1.981, 100.0
1.965, 99.6
1.395, 29.6
1.138, 29.6
1.135, 15.3

# Co5Ge7
Calculated powder diffraction line list, Cu Kα. Input: DFT lattice parameters and positions (PBE).
No peak broadening, texture or thermal motion is included.

Crystal structure
Cell lengths 6.364, 6.364, 6.364 Å; angles 102.21, 102.21, 125.23 degrees
Sites, in units of the cell vectors:
Co 0.000 0.000 0.000
Co 0.287 0.287 0.469
Co 0.287 0.819 0.000
Co 0.819 0.287 0.000
Co 0.819 0.819 0.531
Ge 0.003 0.762 0.241
Ge 0.020 0.520 0.500
Ge 0.380 0.380 0.000
Ge 0.520 0.020 0.500
Ge 0.522 0.762 0.759
Ge 0.762 0.003 0.241
Ge 0.762 0.522 0.759

Main lines, in order of rising 2θ (15° ≤ 2θ ≤ 90°):
d (Å), I/Imax
4.722, 22.4
3.050, 43.6
2.825, 13.6
2.073, 27.7
2.033, 100.0
1.998, 61.6
1.413, 18.0
1.160, 26.7

# Co4Ge
Calculated powder diffraction line list, Cu Kα. Input: DFT lattice parameters and positions (PBE).
No peak broadening, texture or thermal motion is included.

Crystal structure
Cell lengths 9.978, 9.978, 9.978 Å; angles 15.12, 15.12, 15.12 degrees
Sites, in units of the cell vectors:
Co 0.099 0.099 0.099
Co 0.300 0.300 0.300
Co 0.700 0.700 0.700
Co 0.901 0.901 0.901
Ge 0.500 0.500 0.500

Main lines, in order of rising 2θ (15° ≤ 2θ ≤ 90°):
d (Å), I/Imax
2.122, 100.0
1.973, 26.3
1.803, 58.5
1.312, 19.0
1.240, 15.4
1.116, 11.1
1.093, 20.9

# Hf6Co16Ge7
Calculated powder diffraction line list, Cu Kα. Input: DFT lattice parameters and positions (PBE).
No peak broadening, texture or thermal motion is included.

Crystal structure
Cell lengths 8.141, 8.141, 8.141 Å; angles 60.00, 60.00, 60.00 degrees
Sites, in units of the cell vectors:
Hf 0.203 0.203 0.797
Hf 0.203 0.797 0.203
Hf 0.203 0.797 0.797
Hf 0.797 0.203 0.203
Hf 0.797 0.203 0.797
Hf 0.797 0.797 0.203
Co 0.138 0.621 0.621
Co 0.169 0.169 0.169
Co 0.169 0.169 0.493
Co 0.169 0.493 0.169
Co 0.379 0.379 0.379
Co 0.379 0.379 0.862